The entire Middle East is in turmoil due to the Gaza war. If the Palestinians do not get more rights, there will be no stability in the region.

=====
No. 1
## ScFeRu2C (PBE-GGA)

Data for a relaxed ScFeRu2C crystal.

Cell and atoms, written as POSCAR:
```
ScFeRu2C
1.0
4.306 0.000 0.000
0.000 4.700 0.000
0.000 0.000 4.306
Sc Ru C Fe
1 2 1 1
Direct
0.000 0.500 0.000 Sc
0.000 0.000 0.500 Ru
0.500 0.000 0.000 Ru
0.500 0.500 0.500 C
0.000 0.000 0.000 Fe
```

**DFT formation energy**: 1.810 eV/atom
**Calculated volume**: 87 Å³/cell
**SG**: P4/mmm
**Electronic total energy**: -6.70 eV per atom
**Relative energy among the computed polymorphs**: 2054 meV per atom



No. 2
## SrYAg2 (PBE-GGA)

Data for a relaxed SrYAg2 crystal.

Cell and atoms, written as POSCAR:
```
SrYAg2
1.0
8.158 0.000 0.000
0.000 8.158 0.000
4.079 4.079 3.738
Y Sr Ag
2 2 4
Direct
0.000 0.000 0.000 Y
0.750 0.250 0.500 Y
0.500 0.500 0.000 Sr
0.250 0.750 0.500 Sr
0.647 0.125 0.250 Ag
0.103 0.625 0.250 Ag
0.375 0.353 0.750 Ag
0.875 0.897 0.750 Ag
```

**DFT formation energy**: 0.079 eV/atom
**Calculated volume**: 249 Å³/cell
**SG**: I-42d
**Electronic total energy**: -3.38 eV per atom
**Relative energy among the computed polymorphs**: 370 meV per atom



No. 3
## La2NdSm2Mg5 (PBE-GGA)

Data for a relaxed La2NdSm2Mg5 crystal.

Cell and atoms, written as POSCAR:
```
La2NdSm2Mg5
1.0
-3.673 -2.791 -2.438
7.496 -6.887 -3.408
-1.396 -5.902 8.857
La Nd Sm Mg
4 2 4 10
Direct
0.000 0.675 0.175 La
0.000 0.325 0.825 La
0.000 0.175 0.325 La
0.000 0.825 0.675 La
0.000 0.000 0.000 Nd
0.000 0.500 0.500 Nd
0.000 0.122 0.622 Sm
0.000 0.878 0.378 Sm
0.000 0.622 0.878 Sm
0.000 0.378 0.122 Sm
0.500 0.197 0.074 Mg
0.500 0.803 0.926 Mg
0.500 0.074 0.803 Mg
0.500 0.697 0.426 Mg
0.500 0.926 0.197 Mg
0.500 0.303 0.574 Mg
0.500 0.574 0.697 Mg
0.500 0.426 0.303 Mg
0.500 0.500 0.000 Mg
0.500 0.000 0.500 Mg
```

**DFT formation energy**: -0.003 eV/atom
**Calculated volume**: 601 Å³/cell
**SG**: P4/mbm
**Electronic total energy**: -3.21 eV per atom



No. 4
## ZrPdSe2 (PBE-GGA)

Data for a relaxed ZrPdSe2 crystal.

Cell and atoms, written as POSCAR:
```
ZrPdSe2
1.0
5.831 0.000 0.000
0.000 5.831 0.000
2.915 2.915 6.101
Se Zr Pd
4 2 2
Direct
0.632 0.125 0.250 Se
0.118 0.625 0.250 Se
0.375 0.368 0.750 Se
0.875 0.882 0.750 Se
0.500 0.500 0.000 Zr
0.250 0.750 0.500 Zr
0.000 0.000 0.000 Pd
0.750 0.250 0.500 Pd
```

**ΔE_f (raw)**: -684 meV/atom
**Calculated volume**: 207 Å³/cell
**SG**: I-42d
**Electronic total energy**: -5.86 eV per atom
**Relative energy among the computed polymorphs**: 267 meV per atom
=====
== The calculated crystals stop here ==

An Israeli soldier in a backlit tank.

An Israeli soldier takes position on the border with the Gaza Strip in southern Israel. Photo: Tsafrir Abayov/ap

In recent weeks we have become accustomed to a dangerous escalation in the Middle East that extends far beyond Israel and the Gaza Strip. US warplanes are now bombing positions of Shiite militias in Iraq and Syria, which have previously attacked more and more of the remaining US army bases there. US and British warships bomb positions of Houthi rebels in Yemen, who have repeatedly attacked merchant ships in the Red Sea in recent months.

The events have one thing in common: the groups responsible justify their actions by saying that they want to exert pressure to end the Gaza war. These groups not only receive open logistical support from Iran and act as its satellites. They also find support among a large part of the Arab public, precisely because they are linked to the Palestinian question.

US military action against these groups is almost interpreted as complicity in the Gaza war. An entire region is in turmoil because of this war and the suffering of the people of Gaza. Today it is clearer than ever: without Palestinians gaining more rights, there will be no stability in the region.

Gone are the days when the West held out hope that the Middle East region could be stabilized by simply ignoring the Palestinian issue. People celebrated the so-called Abraham Accords, in which the United Arab Emirates, Morocco and Bahrain normalized their relations with Israel as a new path to peace, and hoped that Saudi Arabia would soon join them. However, the calculation was made without the Palestinian host and without Arab public opinion, for which the Palestinian question remains central even 75 years after the founding of Israel.

This not only raises the question of what will happen to the Gaza Strip after the war, but also what scenarios currently exist for the entire Palestinian issue. Because seven million Israeli Jews and seven million Palestinians will not vanish into thin air with their demands. Basically, there are four possible scenarios here.

Scenario 1: status quo

The first scenario would be the continuation of the Israeli occupation of the West Bank and further expansion of Israeli settlements there. In addition, there is a new closure of the Gaza Strip, with the great unknown of who will manage the ruins there and the 2.3 million people who live there after the war.

(Someone pasted crystal structures at this point)
+++
Record 1
{
  "formula": "BaCdI2O8",
  "functional": "GGA-PBE",
  "state": "optimized geometry",
  "cell": [[5.6099, 0.0000, 0.0000], [2.8050, 4.8583, 0.0000], [2.8050, 1.6194, 7.4488]],
  "species": ["O", "O", "Ba", "O", "O", "O", "O", "I", "Cd", "O", "I", "O"],
  "fractional_positions": [[0.2823, 0.9283, 0.1828], [0.3934, 0.7177, 0.8172], [0.5000, 0.5000, 0.5000], [0.0717, 0.3934, 0.8172], [0.1846, 0.1846, 0.4461], [0.7177, 0.0717, 0.8172], [0.6066, 0.2823, 0.1828], [0.2658, 0.2658, 0.2026], [0.0000, 0.0000, 0.0000], [0.8154, 0.8154, 0.5539], [0.7342, 0.7342, 0.7974], [0.9283, 0.6066, 0.1828]],
  "formation_energy_uncorrected_mev_per_atom": -766,
  "sg": "R-3 (148)",
  "total_energy_ev_per_atom": -4.57
}

Record 2
{
  "formula": "BaCdIO6",
  "functional": "GGA-PBE",
  "state": "optimized geometry",
  "cell": [[-2.4966, 0.3547, -5.0611], [1.6430, -3.4013, -4.2077], [-3.7906, -3.8135, 1.6025]],
  "species": ["O", "I", "Cd", "O", "O", "O", "O", "Ba", "O"],
  "fractional_positions": [[0.5973, 0.0505, 0.3022], [0.3333, 0.3333, 0.5000], [0.6666, 0.6666, 0.5000], [0.0505, 0.3521, 0.3021], [0.5973, 0.3522, 0.6978], [0.3522, 0.5973, 0.3021], [0.3521, 0.0506, 0.6978], [0.0000, 0.0000, 0.0000], [0.0505, 0.5974, 0.6978]],
  "formation_energy_uncorrected_mev_per_atom": -1072,
  "sg": "P312 (149)",
  "total_energy_ev_per_atom": -4.86
}

Record 3
{
  "formula": "Ba2CdIO6",
  "functional": "GGA-PBE",
  "state": "optimized geometry",
  "cell": [[-0.9088, 4.9917, 3.3225], [-5.6204, 2.1404, 0.7822], [-2.6750, -0.4151, 5.4272]],
  "species": ["O", "O", "O", "I", "O", "O", "Ba", "Ba", "O", "Cd"],
  "fractional_positions": [[0.7664, 0.2336, 0.7664], [0.7664, 0.7664, 0.2336], [0.2336, 0.2336, 0.7664], [0.0000, 0.0000, 0.0000], [0.2336, 0.7664, 0.2336], [0.2336, 0.7664, 0.7664], [0.7500, 0.7500, 0.7500], [0.2500, 0.2500, 0.2500], [0.7664, 0.2336, 0.2336], [0.5000, 0.5000, 0.5000]],
  "formation_energy_uncorrected_mev_per_atom": -1576,
  "sg": "Fm-3m (225)",
  "total_energy_ev_per_atom": -5.18
}

Record 4
{
  "formula": "BaCdIO2",
  "functional": "GGA-PBE",
  "state": "optimized geometry",
  "cell": [[4.6866, 0.0000, 0.0000], [0.0000, 4.6866, 0.0000], [0.0000, 0.0000, 5.6584]],
  "species": ["I", "O", "O", "Cd", "Ba"],
  "fractional_positions": [[0.0000, 0.0000, 0.5000], [0.0000, 0.5000, 0.0000], [0.5000, 0.0000, 0.0000], [0.0000, 0.0000, 0.0000], [0.5000, 0.5000, 0.5000]],
  "formation_energy_uncorrected_mev_per_atom": -818,
  "sg": "P4/mmm (123)",
  "total_energy_ev_per_atom": -3.68
}

Record 5
{
  "formula": "BaCdPI2",
  "functional": "GGA-PBE",
  "state": "optimized geometry",
  "cell": [[-3.8933, 1.7408, -3.5250], [4.7948, -2.6303, -6.5947], [-2.4222, -4.9697, 0.2211]],
  "species": ["P", "Cd", "I", "I", "Ba"],
  "fractional_positions": [[0.5000, 0.5000, 0.5000], [0.0000, 0.0000, 0.0000], [0.5000, 0.0000, 0.0000], [0.0000, 0.0000, 0.5000], [0.0000, 0.5000, 0.0000]],
  "formation_energy_uncorrected_mev_per_atom": 62,
  "sg": "P4/mmm (123)",
+++

The status quo also includes continued unequal treatment of Palestinians who live in Israel and hold Israeli passports. They now represent a fifth of Israel's population.

The biggest problem with maintaining the status quo: it was never sustainable for the Palestinians. It has also become clear, by October 7 at the latest, that this is not sustainable for Israelis and their security.

Furthermore, the West is increasingly losing its sovereignty in interpreting the conflict according to the current status quo. The votes in the UN General Assembly demonstrate this. 153 countries recently voted in favor of a ceasefire in the Gaza Strip, 10 voted against and 23 countries abstained, including Germany. But it is also evident in proceedings initiated by South Africa and accepted by the International Court of Justice (ICJ), which examine whether Israel's actions in the Gaza war constitute genocide.

Scenario 2: Expulsion of Palestinians

The second scenario, which some ministers in Israeli Prime Minister Benjamin Netanyahu's far-right cabinet openly and repeatedly debate, is the expulsion of the Palestinians from the Gaza Strip. Finance Minister Bezalel Smotrich and National Security Minister Itamar Ben Gvir have made no secret of the fact that they imagine the future of Gaza without the majority of its Palestinian residents. Some settlers are even discussing their expulsion from the West Bank as a second step.

From a purely military perspective, Israel would probably be capable of carrying out this type of ethnic cleansing. However, from a political point of view, such a scenario is difficult to imagine. The international outcry would be too great. And Israel's main military and financial backers in Washington and some European capitals would be hard-pressed and forced to reconsider their position.

Scenario 3: two states

This brings us to the third scenario, the two-state solution, that is, a Palestinian state alongside Israel. This solution is what the EU and the US have been officially demanding for two decades. But in the last 20 years it has degenerated into European and American verbiage, a kind of mantra that has accompanied the status quo ante.

In reality, no power wanted to invest politically in promoting this solution against Netanyahu. During his tenure in government, he did everything he could to torpedo a two-state solution, most notably through a massive expansion of Israeli settlements in the West Bank, which are illegal under international law.

Since the 1993 Oslo Accords, which aimed to create a Palestinian state, the number of settlers has increased from 264,000 to 502,000. If you look at a map of the West Bank with Israel's settlements, settler roads and restricted military zones, you can no longer see any coherent potential Palestinian territory.

Some Palestinians also criticize the second-state solution. This would give them their own state, but they would have to give up their national ambitions for all of Palestine. They maintain that such a State would be established in only 22 percent of its original territory.

Despite much resistance and the practical question of whether there is still enough room for a viable state to exist, the international community is sticking to the two-state solution as the only viable option. This would only really be conceivable if at least some of the Israeli settlements were abandoned.

UN Secretary-General Antonio Guterres recently said: “The two-state solution has been vilified, undermined and declared dead many times. However, it remains the only achievable, lasting and just solution for peace in Israel, Palestine and the region.”

Scenario 4: One State for all

• Here the text breaks off for data records:
'''
No. 1
TmPuCuHg: relaxed, PBE.

a = 5.1114 Å, b = 5.1114 Å, c = 5.1114 Å
α = 60.00°, β = 60.00°, γ = 60.00°
Each line ends with the local moment (μB).
Element x y z (fractional)
Pu (0.7500, 0.7500, 0.7500)  5.36
Cu (0.0000, 0.0000, 0.0000)  0.02
Hg (0.5000, 0.5000, 0.5000)  0.04
Tm (0.2500, 0.2500, 0.2500)  0.13

Computed properties:
ΔE_f = -0.10 eV per atom
crystal system = cubic
E_tot = -5.90 eV per atom
N(E_F) = 10.0 states/eV/cell


No. 2
VTePCl2: relaxed, PBE.

a = 5.2076 Å, b = 5.2076 Å, c = 5.2658 Å
α = 90.00°, β = 90.00°, γ = 90.00°
Each line ends with the local moment (μB).
Element x y z (fractional)
Te (0.0000, 0.0000, 0.0000)  -0.01
P (0.0000, 0.0000, 0.5000)  0.13
Cl (0.0000, 0.5000, 0.0000)  0.00
Cl (0.5000, 0.0000, 0.0000)  0.00
V (0.5000, 0.5000, 0.5000)  -3.10

Computed properties:
crystal system = tetragonal
E_tot = -3.50 eV per atom
excess energy over the best structure of this formula in the dataset = 4.12 eV per formula unit
energy relative to the elements, uncorrected = 768 meV per atom
N(E_F) = 4.1 states/eV/cell


No. 3
PPbS3: relaxed, PBE.

a = 5.1105 Å, b = 5.1105 Å, c = 5.1105 Å
α = 90.00°, β = 90.00°, γ = 90.00°
Element x y z (fractional)
S (0.0000, 0.0000, 0.5000)
S (0.0000, 0.5000, 0.0000)
S (0.5000, 0.0000, 0.0000)
Pb (0.0000, 0.0000, 0.0000)
P (0.5000, 0.5000, 0.5000)

Computed properties:
crystal system = cubic
E_tot = -3.09 eV per atom
energy relative to the elements, uncorrected = 1209 meV per atom
N(E_F) = 5.2 states/eV/cell


No. 4
Hf2ZrPa: relaxed, PBE.

a = 4.5975 Å, b = 4.5255 Å, c = 4.5255 Å
α = 90.00°, β = 90.00°, γ = 90.00°
Element x y z (fractional)
Hf (0.0000, 0.0000, 0.5000)
Hf (0.0000, 0.5000, 0.0000)
Zr (0.5000, 0.0000, 0.0000)
Pa (0.5000, 0.5000, 0.5000)

Computed properties:
ΔE_f = 0.14 eV per atom
crystal system = tetragonal
E_tot = -9.35 eV per atom
excess energy over the best structure of this formula in the dataset = 0.40 eV per formula unit
N(E_F) = 6.8 states/eV/cell


No. 5
CrWI2N: relaxed, PBE.

a = 5.6659 Å, b = 5.6659 Å, c = 3.8476 Å
α = 90.00°, β = 90.00°, γ = 90.00°
Each line ends with the local moment (μB).
Element x y z (fractional)
I (0.5000, 0.0000, 0.0000)  0.00
I (0.0000, 0.5000, 0.0000)  0.00
N (0.0000, 0.0000, 0.5000)  -0.07
W (0.0000, 0.0000, 0.0000)  0.91
Cr (0.5000, 0.5000, 0.5000)  4.31

Computed properties:
crystal system = tetragonal
E_tot = -6.15 eV per atom
excess energy over the best structure of this formula in the dataset = 0.00 eV per formula unit
energy relative to the elements, uncorrected = 654 meV per atom
N(E_F) = 1.8 states/eV/cell


No. 6
CdH: relaxed, PBE.

a = 3.1585 Å, b = 3.1748 Å, c = 6.6049 Å
α = 76.47°, β = 76.33°, γ = 89.54°
Element x y z (fractional)
Cd (0.0892, 0.3081, 0.2703)
Cd (0.3882, 0.5450, 0.6280)
H (0.3298, 0.9482, 0.7999)
H (0.6774, 0.3008, 0.1019)

Computed properties:
crystal system = triclinic
E_tot = -1.82 eV per atom
excess energy over the best structure of this formula in the dataset = 0.36 eV per formula unit
'''

The fourth scenario is a one-state solution, that is, a secular and democratic state in which Israelis and Palestinians, Jews, Muslims and Christians live together on equal terms. To do this, both sides would have to give up their national ambitions with Jewish or Palestinian identities. There would no longer be a Palestinian state, but at the same time there would not be an exclusively Jewish one either. That would also be the end of the Zionist idea in its current implementation.

This idea is presented by an absolute minority on both sides, mainly in the academic sector. One of its Israeli representatives is former employee of the Israeli internal secret service Shin Bet and current philosophy professor Omri Boehm. Is it better to abandon Zionism or cling to an idea tainted by the expulsion of the Palestinians?, he asks. He advocated this three years ago in his polemic “Israel. A utopia” to rethink the statehood of Israel. Instead of a two-state solution, he speaks of a “Palestinian-Israeli federation: one country for both peoples.”

The late prominent Palestinian intellectual and thought leader Edward Said also spoke 20 years ago of the possibility of a one-state solution, which would have to go hand in hand with the principle of one citizen with shared rights and responsibilities. If everyone had the same rights and privileges, the dogmas of religious chauvinism and national ideologies would be lost forever, he wrote.

The one-state solution changes one of the fundamental characteristics of the Israeli-Palestinian conflict. This is no longer a territorial dispute, but rather the fundamental question of the equal rights of two peoples in one State.

Analyzing the four scenarios, it is clear that the first two, status quo and expulsion, are ultimately military solutions. They depend on Israel's military superiority and Israel's waning international support.

The other two options, one-state and two-state, are political in nature. They are the only solutions that create more justice. October 7 made one thing very clear: without Palestinians being granted their political rights in some way, there will be no security for Israelis.